**Listing**
┌──
15
Properties=species:S:1:pos:R:3 method="wB97M-V/def2-TZVPD" homo_ev=-13.15 spin_multiplicity=1 orbital_gap_ev=7.8977 de_lowest_kj_mol=313.8 e_tot_ha=-532.7227 charge=+1
H 1.07 -1.83 1.85
H -1.91 0.51 1.25
H 1.73 -2.23 1.39
H -0.53 -1.30 -2.06
H 0.02 2.58 1.57
H -1.67 -0.95 0.16
N -0.15 2.10 0.67
C -1.25 -0.39 0.92
H 0.96 -0.85 -2.86
P 0.20 0.44 0.42
H 0.08 2.61 -0.17
N 0.32 -0.67 -2.16
H -1.04 -1.14 1.82
C 0.61 0.31 -1.27
H 1.55 0.81 -1.52
└──

**What to do**
Could you reproduce only the last part of the lines further above, starting with the line that has "1.73 -2.23"?

**Response**
H 1.73 -2.23 1.39
H -0.53 -1.30 -2.06
H 0.02 2.58 1.57
H -1.67 -0.95 0.16
N -0.15 2.10 0.67
C -1.25 -0.39 0.92
H 0.96 -0.85 -2.86
P 0.20 0.44 0.42
H 0.08 2.61 -0.17
N 0.32 -0.67 -2.16
H -1.04 -1.14 1.82
C 0.61 0.31 -1.27
H 1.55 0.81 -1.52